-- Work order --
Return the contents underneath from the line with "8.827" to the end without additions.
-- File --
/*
(1)
13
Lattice="-2.346 4.227 4.289 2.346 -4.227 4.289 2.346 4.227 -4.289" Properties=species:S:1:pos:R:3 comment="TmFe10Re2, optimized geometry, DFT PBE" dft_energy_ev_per_atom=-8.822 delta_e_f_ev_per_atom=-0.048 pbc="T T T"
Tm 0.000 0.000 0.000
Fe 1.173 2.114 -2.145
Fe 1.173 -2.114 2.145
Fe 2.346 1.848 0.000
Fe 2.346 0.000 1.953
Fe 0.000 3.027 0.000
Fe -1.173 2.114 2.145
Fe 1.173 2.114 2.145
Fe 0.000 5.428 0.000
Fe 0.000 4.227 2.337
Fe 0.000 2.379 4.289
Re 0.000 0.000 3.065
Re 0.000 0.000 5.513

(2)
50
Lattice="6.498 0.000 0.000 -1.622 9.304 0.000 -0.092 -4.701 9.011" Properties=species:S:1:pos:R:3 comment="Ca2B8O15, optimized geometry, DFT PBE" dft_energy_ev_per_atom=-7.693 de_polymorph_mev_per_atom=0 delta_e_f_ev_per_atom=-2.839 pbc="T T T"
Ca -0.192 0.663 1.982
Ca 1.848 -1.436 6.056
Ca 2.936 6.039 2.955
Ca 4.975 3.940 7.029
B -0.028 -2.663 8.358
B -0.188 0.818 5.646
B 0.114 5.450 4.282
B 0.093 7.377 2.537
B 0.825 3.331 3.091
B 0.741 6.776 0.196
B 1.700 2.095 6.885
B 1.460 4.605 6.237
B 3.324 -0.002 2.775
B 3.083 2.508 2.126
B 4.043 -2.172 8.816
B 3.959 1.272 5.920
B 4.690 -2.774 6.475
B 4.670 -0.846 4.729
B 4.971 3.785 3.365
B 4.811 7.267 0.653
O -1.266 4.936 4.072
O -1.322 7.371 2.088
O -0.502 2.866 3.133
O -0.629 2.415 8.765
O 0.771 -3.762 8.807
O 0.823 -1.487 8.211
O 0.255 6.824 3.863
O 1.076 0.975 6.113
O 0.440 5.444 5.743
O 2.041 -0.453 2.578
O 1.019 3.350 6.538
O 1.119 4.580 3.567
O 0.991 6.703 1.559
O 1.662 2.431 2.526
O 1.637 1.819 8.311
O 3.147 2.784 0.700
O 3.122 2.172 6.486
O 3.792 -2.099 7.452
O 3.664 0.023 5.444
O 3.764 1.253 2.473
O 2.743 5.056 6.433
O 4.344 -0.840 3.268
O 3.707 3.629 2.898
O 4.529 -2.221 5.148
O 3.960 6.091 0.800
O 4.013 8.366 0.204
O 5.413 2.188 0.246
O 5.286 1.738 5.878
O 6.105 -2.768 6.923
O 6.049 -0.332 4.940

(3)
60
Lattice="7.620 0.000 0.000 0.000 8.049 0.000 0.000 0.000 11.449" Properties=species:S:1:pos:R:3 comment="SrH6C2O6, optimized geometry, DFT PBE" dft_energy_ev_per_atom=-5.547 de_polymorph_mev_per_atom=445 delta_e_f_ev_per_atom=-1.142 pbc="T T T"
Sr 0.966 1.888 5.201
Sr 2.844 6.160 10.925
Sr 4.776 2.136 6.249
Sr 6.654 5.913 0.524
H 0.323 5.398 5.170
H 0.411 6.543 9.083
H 0.717 0.953 9.616
H 1.117 6.636 8.827
H 1.408 2.925 9.636
H 1.453 1.294 0.777
H 2.357 6.755 6.502
H 2.402 5.124 3.912
H 2.693 1.413 3.102
H 3.093 7.096 3.891
H 3.400 1.506 3.359
H 3.487 2.651 10.895
H 4.133 6.675 6.279
H 4.221 5.530 2.366
H 4.527 3.072 1.833
H 4.927 5.437 2.622
H 5.218 1.100 1.813
H 5.263 2.730 10.672
H 6.167 5.319 4.947
H 6.212 6.949 7.538
H 6.503 2.611 8.347
H 6.903 4.977 7.558
H 7.210 2.519 8.091
H 7.297 1.373 0.555
C 0.614 0.951 0.140
C 1.356 3.781 2.758
C 2.454 4.268 8.483
C 3.196 7.098 5.865
C 4.424 3.073 11.309
C 5.166 0.244 8.691
C 6.264 7.805 2.966
C 7.006 4.976 5.584
O 0.585 7.659 11.378
O 0.768 2.687 2.737
O 0.813 1.662 10.277
O 1.211 4.592 1.697
O 1.700 3.929 9.515
O 1.841 2.198 7.507
O 1.969 5.850 1.782
O 2.110 4.119 3.790
O 2.599 3.457 7.422
O 2.997 6.387 4.552
O 3.042 5.361 8.462
O 3.225 0.389 5.653
O 4.395 4.414 0.071
O 4.578 1.337 8.712
O 4.623 2.363 1.173
O 5.021 7.481 9.752
O 5.510 0.095 1.935
O 5.651 1.826 3.943
O 5.779 6.223 9.667
O 5.920 7.954 7.659
O 6.409 0.567 4.027
O 6.807 5.686 6.897
O 6.852 6.712 2.988
O 7.035 3.635 5.796

(4)
16
Lattice="1.991 -5.097 0.000 1.991 5.097 0.000 0.000 0.000 13.295" Properties=species:S:1:pos:R:3 comment="ZnSb2O5, optimized geometry, DFT PBE" dft_energy_ev_per_atom=-5.367 de_polymorph_mev_per_atom=51 delta_e_f_ev_per_atom=-1.514 pbc="T T T"
Zn 1.991 4.247 9.971
Zn 1.991 -4.247 3.324
Sb 1.991 2.989 1.426
Sb 1.991 2.989 5.222
Sb 1.991 -2.989 8.074
Sb 1.991 -2.989 11.869
O 1.991 4.843 1.756
O 1.991 4.843 4.891
O 1.991 2.574 7.762
O 1.991 2.574 12.181
O 1.991 2.012 3.324
O 1.991 -2.012 9.971
O 1.991 -2.574 1.114
O 1.991 -2.574 5.534
O 1.991 -4.843 8.404
O 1.991 -4.843 11.539

(5)
10
*/
-- Completed --
H 1.117 6.636 8.827
H 1.408 2.925 9.636
H 1.453 1.294 0.777
H 2.357 6.755 6.502
H 2.402 5.124 3.912
H 2.693 1.413 3.102
H 3.093 7.096 3.891
H 3.400 1.506 3.359
H 3.487 2.651 10.895
H 4.133 6.675 6.279
H 4.221 5.530 2.366
H 4.527 3.072 1.833
H 4.927 5.437 2.622
H 5.218 1.100 1.813
H 5.263 2.730 10.672
H 6.167 5.319 4.947
H 6.212 6.949 7.538
H 6.503 2.611 8.347
H 6.903 4.977 7.558
H 7.210 2.519 8.091
H 7.297 1.373 0.555
C 0.614 0.951 0.140
C 1.356 3.781 2.758
C 2.454 4.268 8.483
C 3.196 7.098 5.865
C 4.424 3.073 11.309
C 5.166 0.244 8.691
C 6.264 7.805 2.966
C 7.006 4.976 5.584
O 0.585 7.659 11.378
O 0.768 2.687 2.737
O 0.813 1.662 10.277
O 1.211 4.592 1.697
O 1.700 3.929 9.515
O 1.841 2.198 7.507
O 1.969 5.850 1.782
O 2.110 4.119 3.790
O 2.599 3.457 7.422
O 2.997 6.387 4.552
O 3.042 5.361 8.462
O 3.225 0.389 5.653
O 4.395 4.414 0.071
O 4.578 1.337 8.712
O 4.623 2.363 1.173
O 5.021 7.481 9.752
O 5.510 0.095 1.935
O 5.651 1.826 3.943
O 5.779 6.223 9.667
O 5.920 7.954 7.659
O 6.409 0.567 4.027
O 6.807 5.686 6.897
O 6.852 6.712 2.988
O 7.035 3.635 5.796

(4)
16
Lattice="1.991 -5.097 0.000 1.991 5.097 0.000 0.000 0.000 13.295" Properties=species:S:1:pos:R:3 comment="ZnSb2O5, optimized geometry, DFT PBE" dft_energy_ev_per_atom=-5.367 de_polymorph_mev_per_atom=51 delta_e_f_ev_per_atom=-1.514 pbc="T T T"
Zn 1.991 4.247 9.971
Zn 1.991 -4.247 3.324
Sb 1.991 2.989 1.426
Sb 1.991 2.989 5.222
Sb 1.991 -2.989 8.074
Sb 1.991 -2.989 11.869
O 1.991 4.843 1.756
O 1.991 4.843 4.891
O 1.991 2.574 7.762
O 1.991 2.574 12.181
O 1.991 2.012 3.324
O 1.991 -2.012 9.971
O 1.991 -2.574 1.114
O 1.991 -2.574 5.534
O 1.991 -4.843 8.404
O 1.991 -4.843 11.539

(5)
10